
Why an 'eerie feeling' weighs over NFL teams as training camp ends | Ekeler’s Edge

<<<
The following is a quantum chemistry calculation of a structure of composition C24H33IrN8O12P2S2 at a distorted geometry, from the OMol25 dataset.

```
! wB97M-V def2-TZVPD RIJCOSX def2/J DEFGRID3
* xyz 0 5
Ir -1.86 -1.11 1.79
N -6.16 1.10 0.73
C -4.87 0.77 -0.02
C -5.16 1.17 -1.46
P -3.47 1.85 0.80
O -2.50 2.10 -0.48
O -4.13 3.09 1.30
O -2.63 0.98 1.80
P -4.52 -1.01 0.06
O -4.84 -1.78 -1.29
O -5.26 -1.46 1.30
O -2.91 -1.13 0.07
H -6.84 1.27 0.02
H -6.03 2.00 1.23
H -6.40 0.29 1.35
H -5.09 2.27 -1.48
H -6.16 0.91 -1.88
H -4.31 0.79 -2.08
H -1.86 1.37 -0.67
H -4.16 -2.47 -1.54
C -2.01 -1.91 5.70
C -1.95 -1.39 4.27
O -3.00 -1.44 3.55
O -0.85 -0.95 3.72
H -1.51 -1.21 6.33
H -1.52 -2.89 5.68
H -3.03 -1.98 6.10
C 0.20 1.05 -3.43
C 0.75 2.41 -3.83
C 0.70 3.42 -2.70
N 1.79 3.26 -1.71
C 2.09 4.20 -0.81
S 1.42 5.74 -0.68
N 3.10 3.73 0.06
C 4.34 3.16 -0.35
O 4.92 2.38 0.37
C 4.86 3.72 -1.67
C 4.68 5.06 -2.14
C 5.20 5.35 -3.38
C 6.01 4.54 -4.14
C 6.14 3.23 -3.65
C 5.66 2.86 -2.43
H 0.53 0.25 -4.13
H -0.90 1.06 -3.43
H 0.57 0.57 -2.47
H 0.04 2.82 -4.60
H 1.75 2.40 -4.25
H -0.22 3.47 -2.14
H 0.83 4.40 -3.14
H 1.95 2.29 -1.47
H 3.10 4.14 0.98
H 4.07 5.78 -1.57
H 4.95 6.34 -3.81
H 6.50 4.82 -5.06
H 6.75 2.61 -4.26
H 5.83 1.85 -2.09
O -1.57 -3.91 3.69
C -1.46 -3.96 2.48
N -1.57 -3.02 1.46
S -1.32 -3.68 -0.09
O -2.57 -3.71 -0.87
O -0.15 -3.05 -0.62
C -0.83 -5.28 0.55
C -0.35 -6.39 -0.17
C -0.08 -7.58 0.51
C -0.11 -7.52 1.92
C -0.59 -6.40 2.62
C -0.90 -5.21 1.91
H -0.18 -6.33 -1.25
H 0.20 -8.50 0.00
H 0.17 -8.38 2.52
H -0.74 -6.32 3.75
N 2.89 -1.79 2.57
C 3.00 -0.61 1.95
N 4.18 0.10 1.96
N 2.03 -0.01 1.26
C 0.84 -0.43 0.96
N -0.34 -0.38 0.74
H 3.69 -2.20 3.02
H 1.95 -2.17 2.69
H 5.07 -0.34 2.16
H 4.18 0.91 1.32
*
```

Summary:
* energy relative to the best compared isomer or geometry (same formula, charge and spin): 1.113 eV
* HOMO energy (spin up / spin down): -0.221 / -0.303 hartree
* Kohn-Sham gap (spin up / spin down): 5.84 / 7.35 eV

These are the Mulliken partial charges, in e, on atoms 1 to 2:
1 Ir 2.504
2 N -0.046


The following is a quantum chemistry calculation of a cluster of 2 separate species, C4H10O in total at a distorted geometry, from the OMol25 dataset.

```
! wB97M-V def2-TZVPD RIJCOSX def2/J DEFGRID3
* xyz 0 1
C -1.15 -0.41 2.37
C -1.31 0.82 1.87
C -2.59 1.38 1.48
H -0.10 -0.65 2.64
H -1.94 -1.02 2.73
H -0.46 1.38 1.59
H -3.41 1.39 2.20
H -2.35 2.48 1.37
H -2.93 1.02 0.50
C 3.02 -0.94 -2.89
O 2.26 -1.99 -2.34
H 2.55 -0.86 -3.91
H 2.93 0.11 -2.57
H 4.10 -1.14 -3.00
H 1.40 -1.57 -2.05
*
```

Summary:
* energy relative to the best compared isomer or geometry (same formula, charge and spin): 2.221 eV
* HOMO energy: -0.355 hartree
* SMILES: C=CC.CO
* Kohn-Sham gap: 10.35 eV

These are the Mulliken partial charges, in e, on atoms 1 to 2:
1 C -0.753
2 C -0.007


The following is a quantum chemistry calculation of a structure of composition C28H26EuN7O3S at a distorted geometry, from the OMol25 dataset.

```
>>>

Yahoo Fantasy analyst Matt Harmon is joined by Los Angeles Chargers star Austin Ekeler to give an inside look at what it's like as team rosters are cut down to 53 players. Hear the full episode of Ekeler’s Edge on Yahoo Fantasy Football Show — and subscribe on Apple, Spotify, Stitcher or wherever you listen.

Video Transcript


MATT HARMON: All right, Austin, since we're teaming up with Toyota Racing for the month of August, we wanted to go under the hood of training camp and dive into what it takes to get ready for the NFL season. This is a big week in the NFL. It is the week that the 53-man rosters come together. While it's a joyous time for some, it can be a very stressful time for so many players across the league. So, Austin, what is it like this week for NFL players?

AUSTIN EKELER: Yeah, this week is-- it's different. It's really different. And why I say that is because it depends on, really, your situation. I want to start out with my story of my rookie year-- just finishing the last preseason game, had a pretty good training camp, and then also had a pretty good last preseason game.

But for me, I never moved up the depth chart on anything. I was sixth string at the running back position, and then I was also, like, third string on special teams. So in my mind, I'm like, well, this is probably it. I don't know, really have no idea. There's no indication of, yeah, you're good. Yeah, you're not.

Especially as an undrafted player, they have no capital invested in me. I come into the building and get a workout. And there's guys getting picked off all over the place. We call them "the reapers," which is like the scouts that are coming down and finding people, either getting you from the hotel room, coming, hey, bring your-- come-- you need to come with me. Bring your iPad-- or picking you out of the weight room. And so it's honestly kind of, like, eerie. It's like an eerie feel in the building because it's just like, ah, like, you know what's happening.

In my instance, there was a time cutoff when the final cuts had to be made. Like an hour and a half before the cutoff, I get a call. And it's our player director. And he's like, hey, man, if you haven't gotten a call by now, you probably made the team. And I was just like-- it was just like this huge relief, like, oh, my god. And he's like, yeah, start looking for an apartment.

And so I had like two days to get an apartment. So I immediately get off the phone with him. I'm calling my mom. I'm calling my agent. I'm crying. They're crying. Because it's like, Mom, I made it, like I made the team. It was such a long shot for me to make it.

And so that was a story with a happy ending. But for some of these guys, it's not necessarily that way. It's the opposite, you know, where you get the call. You have to come in, and then you have to have the conversation about getting cut.

So there's a lot of different emotions that are going on. And there's people moving around. There's people getting cut. There's people getting signed. After the dust settles, that's your squad. And then, guess what? This is who we got for the rest of the season going forward, and it's all up from there, hopefully.

MATT HARMON: Like, this isn't the exact same example, but Trey Lance just got traded. He's getting maybe a fresh start in Dallas. I mean, he's not going to starter for them. They have an established starter. But new situations and new fits certainly, I would think, could be better for some players in the long term.

AUSTIN EKELER: One thing that, really, people don't really understand, on the outside of our locker rooms is the politics within the locker rooms and the coaching staff and, like, who trusts who.


AUSTIN EKELER: Trust is a huge thing in the NFL world. If you look at coaching staffs alone, if you have a new head coach, guess who they're bringing? All of their guys that they trust are coming with them. And it's the same thing, and it plays itself out within the players too. If you have a guy who knows, hey, I can trust Austin on the field. He does the right things. He's in the right spot. He makes the right plays. Guess what? I'm probably going to get more playing time than a guy that maybe even has a little bit more talent.

If you put any hint of distrust in the coaching, in our coaches, it's not good for you. And so sometimes you need to reset and then potentially get a new opportunity to show what you can do on a different team. So, yeah, there definitely could be some benefit. That's just one benefit that can come from it. But that's one that maybe isn't as obvious.

MATT HARMON: No, I mean, listen. It makes a ton of sense. And we love that perspective on the show. Thanks for going under the hood with us, Austin. And thanks again to our friends at Toyota Racing.